Source:
+++
(1)
Molecular formula: C19H34F3N2O8
Method: DFT, the ωB97M-V functional and the def2-TZVPD basis

The lowest unoccupied orbital energy is -3.16 eV.

ORCA input file:
```
! wB97M-V def2-TZVPD RIJCOSX def2/J DEFGRID3
* xyz 1 1
N -0.66 0.28 -2.09
C 0.05 -0.99 -1.90
C -0.21 -1.56 -0.50
C 0.34 -2.98 -0.28
C -0.75 -4.07 -0.28
C -0.45 -5.12 -1.35
C -1.38 -6.35 -1.28
N -2.50 -6.33 -2.29
C -2.86 -4.99 -2.85
C -3.99 -4.39 -2.01
C -4.44 -3.00 -2.43
O -5.54 -3.05 -3.30
C -4.88 -2.25 -1.16
F -5.37 -1.09 -1.45
F -5.81 -2.95 -0.55
F -3.87 -2.10 -0.31
C -1.63 -4.07 -3.08
O -0.39 -4.61 -2.67
H -1.66 0.10 -2.04
H -0.43 0.90 -1.32
H 1.12 -0.85 -2.08
H -0.31 -1.65 -2.70
H 0.31 -0.90 0.20
H -1.26 -1.47 -0.24
H 0.83 -2.98 0.69
H 1.09 -3.26 -1.02
H -0.79 -4.62 0.66
H -1.74 -3.64 -0.44
H 0.55 -5.49 -1.13
H -1.76 -6.47 -0.28
H -0.77 -7.23 -1.49
H -2.33 -7.03 -3.01
H -3.33 -6.66 -1.80
H -3.29 -5.18 -3.83
H -4.85 -5.04 -2.13
H -3.74 -4.42 -0.95
H -3.65 -2.39 -2.88
H -5.50 -2.28 -3.88
H -1.75 -3.10 -2.60
H -1.56 -3.86 -4.14
C 1.60 3.91 1.52
C 2.37 2.73 1.00
C 3.68 3.09 0.35
O 3.86 2.01 -0.58
C 2.63 1.56 -0.92
O 2.40 0.81 -1.81
O 1.69 2.09 -0.10
H 0.61 3.60 1.86
H 2.13 4.37 2.36
H 1.44 4.65 0.74
H 2.51 1.99 1.79
H 4.51 3.13 1.05
H 3.64 4.02 -0.21
C 3.39 9.05 5.45
C 3.84 7.69 4.97
C 4.02 7.58 3.48
O 3.78 6.18 3.26
C 2.96 5.75 4.25
O 2.41 4.69 4.26
O 2.84 6.69 5.22
H 3.16 9.02 6.51
H 4.16 9.80 5.27
H 2.47 9.35 4.93
H 4.75 7.39 5.50
H 5.01 7.86 3.13
H 3.27 8.14 2.91
*
```



(2)
Molecular formula: C19H34MgN2O3P2
Method: DFT, the ωB97M-V functional and the def2-TZVPD basis

The lowest unoccupied orbital energy is -4.84 eV. Its energy above the lowest of the compared OMol25 structures with the same formula, charge and spin is 2.9 kcal/mol.

ORCA input file:
```
! wB97M-V def2-TZVPD RIJCOSX def2/J DEFGRID3
* xyz 2 1
Mg 0.22 0.12 0.18
C -3.02 1.97 1.31
P -2.36 0.67 0.22
C -3.14 1.04 -1.38
C -3.19 -0.85 0.82
C -4.55 -1.03 0.57
C -5.22 -2.15 1.03
C -4.53 -3.11 1.75
C -3.18 -2.94 2.01
C -2.49 -1.82 1.55
P -0.72 -1.60 1.91
C -0.69 -1.01 3.64
C -0.04 -3.28 2.05
H -4.11 1.94 1.34
H -2.71 2.95 0.95
H -2.65 1.85 2.32
H -4.21 1.22 -1.29
H -2.97 0.21 -2.08
H -2.68 1.94 -1.79
H -5.11 -0.29 0.01
H -6.27 -2.28 0.82
H -5.04 -3.99 2.11
H -2.66 -3.70 2.58
H -1.29 -1.66 4.28
H -1.10 0.00 3.70
H 0.33 -0.99 4.01
H -0.46 -3.84 2.88
H 1.04 -3.20 2.21
H -0.20 -3.83 1.12
C 3.85 -2.13 0.31
N 4.03 -1.07 1.30
C 5.29 -1.09 2.06
C 3.12 -0.13 1.49
C 3.38 0.95 2.50
O 2.05 -0.12 0.83
H 4.73 -2.16 -0.33
H 2.97 -1.93 -0.29
H 3.75 -3.09 0.81
H 5.73 -2.08 1.95
H 5.11 -0.92 3.12
H 5.99 -0.35 1.68
H 4.33 1.45 2.31
H 3.43 0.53 3.51
H 2.57 1.68 2.46
O 0.80 1.73 -1.13
C 0.73 0.87 -2.05
O 0.37 -0.31 -1.84
C 1.03 1.31 -3.47
N 1.85 2.58 -3.40
C 1.34 3.49 -4.49
C -0.15 3.22 -4.45
C -0.24 1.71 -4.26
H 1.61 0.55 -3.99
H 2.85 2.41 -3.44
H 1.63 2.98 -2.47
H 1.79 3.15 -5.42
H 1.66 4.51 -4.28
H -0.64 3.56 -5.35
H -0.60 3.75 -3.60
H -0.24 1.19 -5.22
H -1.14 1.40 -3.72
*
```



(3)
Molecular formula: C19H34N2O4
Method: DFT, the ωB97M-V functional and the def2-TZVPD basis

The lowest unoccupied orbital energy is 0.77 eV. Its energy above the lowest of the compared OMol25 structures with the same formula, charge and spin is 28.8 kcal/mol. As for the structure (SMILES): O=C(CCCCCCCC(=O)NC[C@@H]1CCCO1)NC[C@H]1CCCO1.

ORCA input file:
```
! wB97M-V def2-TZVPD RIJCOSX def2/J DEFGRID3
* xyz 0 1
O 0.86 2.04 -2.78
C 0.14 1.30 -2.14
C -0.99 1.81 -1.27
C -2.35 1.16 -1.56
C -3.35 1.44 -0.43
C -4.63 0.60 -0.55
C -4.41 -0.89 -0.33
C -4.07 -1.26 1.12
C -3.02 -2.38 1.19
C -1.66 -1.84 0.77
O -1.28 -1.82 -0.39
N -0.92 -1.36 1.79
C 0.36 -0.72 1.63
C 0.37 0.63 2.36
C 1.71 1.36 2.19
C 2.48 0.91 3.42
C 1.36 0.79 4.46
O 0.19 0.42 3.75
N 0.29 -0.04 -2.14
C 1.43 -0.67 -2.75
C 2.47 -1.08 -1.68
C 3.84 -1.36 -2.32
C 4.48 0.04 -2.36
C 3.64 0.86 -1.37
O 2.72 -0.03 -0.76
H -1.05 2.89 -1.39
H -0.71 1.60 -0.23
H -2.21 0.09 -1.66
H -2.74 1.54 -2.50
H -2.87 1.22 0.52
H -3.61 2.50 -0.43
H -5.05 0.75 -1.55
H -5.36 0.97 0.17
H -5.31 -1.43 -0.64
+++

Wanted:
Quote the whole of the material further above unchanged.

Reply:
(1)
Molecular formula: C19H34F3N2O8
Method: DFT, the ωB97M-V functional and the def2-TZVPD basis

The lowest unoccupied orbital energy is -3.16 eV.

ORCA input file:
```
! wB97M-V def2-TZVPD RIJCOSX def2/J DEFGRID3
* xyz 1 1
N -0.66 0.28 -2.09
C 0.05 -0.99 -1.90
C -0.21 -1.56 -0.50
C 0.34 -2.98 -0.28
C -0.75 -4.07 -0.28
C -0.45 -5.12 -1.35
C -1.38 -6.35 -1.28
N -2.50 -6.33 -2.29
C -2.86 -4.99 -2.85
C -3.99 -4.39 -2.01
C -4.44 -3.00 -2.43
O -5.54 -3.05 -3.30
C -4.88 -2.25 -1.16
F -5.37 -1.09 -1.45
F -5.81 -2.95 -0.55
F -3.87 -2.10 -0.31
C -1.63 -4.07 -3.08
O -0.39 -4.61 -2.67
H -1.66 0.10 -2.04
H -0.43 0.90 -1.32
H 1.12 -0.85 -2.08
H -0.31 -1.65 -2.70
H 0.31 -0.90 0.20
H -1.26 -1.47 -0.24
H 0.83 -2.98 0.69
H 1.09 -3.26 -1.02
H -0.79 -4.62 0.66
H -1.74 -3.64 -0.44
H 0.55 -5.49 -1.13
H -1.76 -6.47 -0.28
H -0.77 -7.23 -1.49
H -2.33 -7.03 -3.01
H -3.33 -6.66 -1.80
H -3.29 -5.18 -3.83
H -4.85 -5.04 -2.13
H -3.74 -4.42 -0.95
H -3.65 -2.39 -2.88
H -5.50 -2.28 -3.88
H -1.75 -3.10 -2.60
H -1.56 -3.86 -4.14
C 1.60 3.91 1.52
C 2.37 2.73 1.00
C 3.68 3.09 0.35
O 3.86 2.01 -0.58
C 2.63 1.56 -0.92
O 2.40 0.81 -1.81
O 1.69 2.09 -0.10
H 0.61 3.60 1.86
H 2.13 4.37 2.36
H 1.44 4.65 0.74
H 2.51 1.99 1.79
H 4.51 3.13 1.05
H 3.64 4.02 -0.21
C 3.39 9.05 5.45
C 3.84 7.69 4.97
C 4.02 7.58 3.48
O 3.78 6.18 3.26
C 2.96 5.75 4.25
O 2.41 4.69 4.26
O 2.84 6.69 5.22
H 3.16 9.02 6.51
H 4.16 9.80 5.27
H 2.47 9.35 4.93
H 4.75 7.39 5.50
H 5.01 7.86 3.13
H 3.27 8.14 2.91
*
```



(2)
Molecular formula: C19H34MgN2O3P2
Method: DFT, the ωB97M-V functional and the def2-TZVPD basis

The lowest unoccupied orbital energy is -4.84 eV. Its energy above the lowest of the compared OMol25 structures with the same formula, charge and spin is 2.9 kcal/mol.

ORCA input file:
```
! wB97M-V def2-TZVPD RIJCOSX def2/J DEFGRID3
* xyz 2 1
Mg 0.22 0.12 0.18
C -3.02 1.97 1.31
P -2.36 0.67 0.22
C -3.14 1.04 -1.38
C -3.19 -0.85 0.82
C -4.55 -1.03 0.57
C -5.22 -2.15 1.03
C -4.53 -3.11 1.75
C -3.18 -2.94 2.01
C -2.49 -1.82 1.55
P -0.72 -1.60 1.91
C -0.69 -1.01 3.64
C -0.04 -3.28 2.05
H -4.11 1.94 1.34
H -2.71 2.95 0.95
H -2.65 1.85 2.32
H -4.21 1.22 -1.29
H -2.97 0.21 -2.08
H -2.68 1.94 -1.79
H -5.11 -0.29 0.01
H -6.27 -2.28 0.82
H -5.04 -3.99 2.11
H -2.66 -3.70 2.58
H -1.29 -1.66 4.28
H -1.10 0.00 3.70
H 0.33 -0.99 4.01
H -0.46 -3.84 2.88
H 1.04 -3.20 2.21
H -0.20 -3.83 1.12
C 3.85 -2.13 0.31
N 4.03 -1.07 1.30
C 5.29 -1.09 2.06
C 3.12 -0.13 1.49
C 3.38 0.95 2.50
O 2.05 -0.12 0.83
H 4.73 -2.16 -0.33
H 2.97 -1.93 -0.29
H 3.75 -3.09 0.81
H 5.73 -2.08 1.95
H 5.11 -0.92 3.12
H 5.99 -0.35 1.68
H 4.33 1.45 2.31
H 3.43 0.53 3.51
H 2.57 1.68 2.46
O 0.80 1.73 -1.13
C 0.73 0.87 -2.05
O 0.37 -0.31 -1.84
C 1.03 1.31 -3.47
N 1.85 2.58 -3.40
C 1.34 3.49 -4.49
C -0.15 3.22 -4.45
C -0.24 1.71 -4.26
H 1.61 0.55 -3.99
H 2.85 2.41 -3.44
H 1.63 2.98 -2.47
H 1.79 3.15 -5.42
H 1.66 4.51 -4.28
H -0.64 3.56 -5.35
H -0.60 3.75 -3.60
H -0.24 1.19 -5.22
H -1.14 1.40 -3.72
*
```



(3)
Molecular formula: C19H34N2O4
Method: DFT, the ωB97M-V functional and the def2-TZVPD basis

The lowest unoccupied orbital energy is 0.77 eV. Its energy above the lowest of the compared OMol25 structures with the same formula, charge and spin is 28.8 kcal/mol. As for the structure (SMILES): O=C(CCCCCCCC(=O)NC[C@@H]1CCCO1)NC[C@H]1CCCO1.

ORCA input file:
```
! wB97M-V def2-TZVPD RIJCOSX def2/J DEFGRID3
* xyz 0 1
O 0.86 2.04 -2.78
C 0.14 1.30 -2.14
C -0.99 1.81 -1.27
C -2.35 1.16 -1.56
C -3.35 1.44 -0.43
C -4.63 0.60 -0.55
C -4.41 -0.89 -0.33
C -4.07 -1.26 1.12
C -3.02 -2.38 1.19
C -1.66 -1.84 0.77
O -1.28 -1.82 -0.39
N -0.92 -1.36 1.79
C 0.36 -0.72 1.63
C 0.37 0.63 2.36
C 1.71 1.36 2.19
C 2.48 0.91 3.42
C 1.36 0.79 4.46
O 0.19 0.42 3.75
N 0.29 -0.04 -2.14
C 1.43 -0.67 -2.75
C 2.47 -1.08 -1.68
C 3.84 -1.36 -2.32
C 4.48 0.04 -2.36
C 3.64 0.86 -1.37
O 2.72 -0.03 -0.76
H -1.05 2.89 -1.39
H -0.71 1.60 -0.23
H -2.21 0.09 -1.66
H -2.74 1.54 -2.50
H -2.87 1.22 0.52
H -3.61 2.50 -0.43
H -5.05 0.75 -1.55
H -5.36 0.97 0.17
H -5.31 -1.43 -0.64